Kenya · 21 January 2021 · 3 min
Danish Dhamani stood in front of his classmates with more than 20 pairs of eyes staring back at him. Words, or even a single sound, could not come out of Danish’s mouth as he struggled to introduce himself to his new peers in Tanzania. Soon, tears began to swell up in his eyes and sweat formed in his palms, causing his heart to beat faster.
But like most journeys that overcome fears, there was a long road ahead. He first moved from Karachi, Pakistan to Dar es Salaam, Tanzania, and began studying at the Aga Khan Academy (AKA) in Mombasa, Kenya in 2011. Looking for activities that would give him the confidence he needed, Danish participated in numerous extracurricular activities, such as Model United Nations (MUN). He was also the president of the Student Representative Council during his Diploma Programme (DP) 2. Both activities required a lot of public speaking.
Then he traveled. “Through the Academy’s Model United Nations, I got to go to Nairobi, Kenya and Geneva, Switzerland. Both gave me the confidence to not only speak on a national stage but an international stage,” Danish said. “I remember I didn’t actually speak that much. I have videos of my peers speaking with so much confidence, which I never had. But seeing everyone, people in my own age group, being able to have a voice, made me think that if they can do it, so can I.”
As a residential student at the Academy, Danish also got a boost in his self-esteem from his residential parent, Naheed Bardai, during his Diploma Programme 1. He said he felt a true bond with Mr Bardai, who was like an actual parent to Danish – there for him during his highs and lows as he matured into a young man.
“Mr Bardai understood me and understood my strengths and weaknesses, which he helped me work on,” Danish says. “He also helped me ask myself who I wanted to be in the future and he really helped me work on my own personal character. These are things you don’t learn or get in a typical school, but something that is special about the Academy.”
[Materials data from another source follow]
<<<
Here is a relaxed ZrCuPdPt crystal from the Open Quantum Materials Database. Energies are from PBE-GGA. Values from VASP.

Geometry as Quantum ESPRESSO input:
```
&SYSTEM
  ibrav = 0, nat = 4, ntyp = 4
/
ATOMIC_SPECIES
Pd 106.42 Pd.upf
Zr 91.22 Zr.upf
Pt 195.08 Pt.upf
Cu 63.55 Cu.upf
CELL_PARAMETERS angstrom
-2.016 2.016 3.948
2.016 -2.016 3.948
2.016 2.016 -3.948
ATOMIC_POSITIONS angstrom
Pd 0.000 2.016 1.974
Zr 0.000 0.000 3.948
Pt 2.016 0.000 1.974
Cu 0.000 0.000 0.000
```

Calculated formation energy, meV/atom: -721

***

Here is a relaxed KDyCuSe5 crystal from the Open Quantum Materials Database. Energies are from PBE-GGA. Values from VASP.

Geometry as Quantum ESPRESSO input:
```
&SYSTEM
  ibrav = 0, nat = 16, ntyp = 4
/
ATOMIC_SPECIES
Se 78.96 Se.upf
Dy 162.50 Dy.upf
K 39.10 K.upf
Cu 63.55 Cu.upf
CELL_PARAMETERS angstrom
6.587 0.000 0.000
0.000 8.188 0.000
-3.083 0.000 8.614
ATOMIC_POSITIONS angstrom
Se 3.170 4.155 2.021
Se 4.540 2.047 1.709
Dy -1.542 4.094 4.307
K -1.724 2.047 8.507
Cu 0.868 6.141 5.300
Se 0.038 6.141 3.056
Dy -1.542 0.000 4.307
Se 3.465 2.047 5.558
Se 0.221 2.047 3.193
Se 0.334 0.061 6.593
Se 3.283 6.141 5.420
Se -1.036 6.141 6.905
Se 0.334 4.033 6.593
K 5.228 6.141 0.107
Cu 2.636 2.047 3.314
Se 3.170 8.127 2.021
```

E_tot, eV/cell: -65.7

***

Here is a relaxed ErAlIr crystal from the Open Quantum Materials Database. Energies are from PBE-GGA. Values from VASP.

Geometry as Quantum ESPRESSO input:
```
&SYSTEM
  ibrav = 0, nat = 6, ntyp = 3
/
ATOMIC_SPECIES
Al 26.98 Al.upf
Er 167.26 Er.upf
Ir 192.22 Ir.upf
CELL_PARAMETERS angstrom
-4.356 0.450 0.522
2.152 -3.221 2.108
1.072 4.198 5.321
ATOMIC_POSITIONS angstrom
Al 0.513 0.079 4.211
Er 0.266 1.043 1.322
Er 0.802 3.142 3.983
Ir -1.643 1.354 3.748
Ir -0.010 -1.968 1.616
Al -1.120 3.402 6.343
```

E_tot, eV/cell: -39.3

***

Here is a relaxed TaN crystal from the Open Quantum Materials Database. Energies are from PBE-GGA. Values from VASP.

Geometry as Quantum ESPRESSO input:
```
&SYSTEM
  ibrav = 0, nat = 2, ntyp = 2
/
ATOMIC_SPECIES
Ta 180.95 Ta.upf
N 14.01 N.upf
CELL_PARAMETERS angstrom
-1.038 -2.676 -0.651
-0.022 0.950 2.786
-2.641 1.123 -0.404
ATOMIC_POSITIONS angstrom
Ta -1.021 0.022 1.539
N -2.680 -0.626 0.192
```

E_tot, eV/cell: -22.5

***

Here is a relaxed Pr3Mg3TlAgAu crystal from the Open Quantum Materials Database. Energies are from PBE-GGA. Values from VASP.

Geometry as Quantum ESPRESSO input:
```
&SYSTEM
  ibrav = 0, nat = 9, ntyp = 5
/
ATOMIC_SPECIES
Pr 140.91 Pr.upf
Mg 24.30 Mg.upf
Tl 204.38 Tl.upf
Ag 107.87 Ag.upf
Au 196.97 Au.upf
CELL_PARAMETERS angstrom
7.969 0.000 0.000
-3.985 6.902 0.000
0.000 0.000 4.285
ATOMIC_POSITIONS angstrom
Pr 0.690 6.798 0.000
Mg -2.077 6.890 2.142
Tl 3.985 2.301 2.142
Ag 0.000 0.000 0.000
Mg 3.021 5.255 2.142
Pr -2.248 4.100 0.000
Mg -0.944 1.658 2.142
Pr 1.558 2.905 0.000
Au 0.000 4.601 2.142
```

E_tot, eV/cell: -31.2

***
>>>
Upon graduating from the Academy in Mombasa in 2013, Danish attended Drexel University in Philadelphia, Pennsylvania, to pursue a degree in mechanical engineering – not any easy field of study. But he had already learned the valuable lesson of working hard, something he learned at the Aga Khan Academy in Mombasa.
These records of crystals were left in the piece by mistake
=====
Density functional theory data (meta-GGA SCAN) for K2OsW at its PBEsol-relaxed geometry.

abc: 3.7152 3.7152 5.8379
angles: 90.00 90.00 90.00
Last column: nearest neighbours and their distance in Å.
Atoms (fractional coordinates):
1 K 0.0000 0.5000 0.0000  4 K 2.63
2 K 0.5000 0.0000 0.0000  4 K 2.63
3 Os 0.0000 0.0000 0.5000  4 W 2.63
4 W 0.5000 0.5000 0.5000  4 Os 2.63

Space-group type: No. 123
ΔE to the lowest computed polymorph (eV per atom): 0.0000

Density functional theory data (meta-GGA SCAN) for AlIn2Ag at its PBEsol-relaxed geometry.

abc: 4.9194 4.9194 4.9194
angles: 60.00 60.00 60.00
Last column: nearest neighbours and their distance in Å.
Atoms (fractional coordinates):
1 Al 0.0000 0.0000 0.0000  4 Ag 3.01, 4 In 3.01
2 In 0.2500 0.2500 0.2500  4 In 3.01, 4 Al 3.01
3 In 0.5000 0.5000 0.5000  4 In 3.01, 4 Ag 3.01
4 Ag 0.7500 0.7500 0.7500  4 In 3.01, 4 Al 3.01

Space-group type: No. 216

Density functional theory data (meta-GGA SCAN) for LiHgPb2 at its PBEsol-relaxed geometry.

abc: 5.7797 5.7797 5.7797
angles: 133.89 133.89 67.27
Last column: nearest neighbours and their distance in Å.
Atoms (fractional coordinates):
1 Li 0.0000 0.0000 0.0000  8 Pb 3.20-3.30, 4 Hg 3.30
2 Hg 0.2500 0.7500 0.5000  8 Pb 3.20-3.30, 4 Li 3.30
3 Pb 0.5000 0.5000 0.0000  4 Li 3.20, 4 Hg 3.30, 4 Pb 3.30
4 Pb 0.7500 0.2500 0.5000  4 Hg 3.20, 4 Pb 3.30, 4 Li 3.30

Space-group type: No. 119

Number 1: total moment 0.000 μB/atom, energy of formation 5.4 eV per formula unit, calculated volume 80.6 Å³/cell. Number 2: total moment 0.000 μB/atom, energy of formation 0.9 eV per formula unit, calculated volume 84.2 Å³/cell. Number 3: total moment 0.000 μB/atom, energy of formation -0.7 eV per formula unit, calculated volume 98.6 Å³/cell.
=====
End of the records of crystals
When he co-found Orai, an app that enables individuals to practice and enhance their speaking skills, with his university roommates in 2016, that lesson in hard work paid off. Built using artificial intelligence, the Orai app went on to reach 300,000 users around the world. It gained more than 2,000 4.7 star ratings on the Apple App Store. It is now used by companies such as Microsoft, Comcast and IBM.
More recently, the app – and its founders – were recognised by Forbes magazine. Danish and his roommates were listed in the magazine’s top 30 Under 30 2021 list – a prestigious list that shines the spotlight on entrepreneurs under 30 from different sectors. Danish was selected due to the impact and scale of the app.
“Hearing His Highness the Aga Khan’s speeches about using your knowledge to help others anywhere in the world has become one of my fundamental rules of life,” says Danish. “If I'm ever going to build something, solve a problem or give service, I'm always thinking of not just helping 100 people, but how can help the lives of millions across the globe?”
“Instilling this idea that I should use my knowledge to help improve the lives of others, not just in my city or country but globally, is what it means to be a global citizen … This is why I chose a problem that’s actually the number one fear in the world – public speaking.”
The following is a PBE calculation of Ho3ErTm3 after structural relaxation, from Alexandria.

Its energy above the most stable polymorph in this dataset is 144.2 meV/atom. Its formation energy is 0.147 eV per atom.

The space group is R-3 (No. 148, hexagonal axes) and the conventional cell measures 6.0810, 6.0810 and 41.8556 Å, with angles of 90.00, 90.00 and 120.00 degrees. The inequivalent atoms are Ho at (0.0002, 0.3313, 0.1326), Er at (0.0000, 0.0000, 0.3333) and Tm at (0.0000, 0.3341, 0.9338).

The following is a PBE calculation of TmGaPdRh after structural relaxation, from Alexandria.

Its energy above the most stable polymorph in this dataset is 11.5 meV/atom. Its formation energy is -0.827 eV per atom.

The space group is F-43m (No. 216) and the conventional cell measures 6.488, 6.488 and 6.488 Å, with angles of 90.00, 90.00 and 90.00 degrees. The inequivalent atoms are Tm at (0.000, 0.000, 0.000), Ga at (0.000, 0.000, 0.500), Pd at (0.250, 0.250, 0.250) and Rh at (0.250, 0.250, 0.750).

The following is a PBE calculation of LiZrRe2 after structural relaxation, from Alexandria.

Its energy above the most stable polymorph in this dataset is 240.0 meV/atom. Its formation energy is 0.320 eV per atom.

The space group is Cmmm (No. 65) and the conventional cell measures 5.402, 9.385 and 2.593 Å, with angles of 90.00, 90.00 and 90.00 degrees. The inequivalent atoms are Li at (0.000, 0.000, 0.000), Zr at (0.000, 0.500, 0.000) and Re at (0.250, 0.250, 0.500).

The following is a PBE calculation of InRuF2 after structural relaxation, from Alexandria.

Its energy above the most stable polymorph in this dataset is 239.0 meV/atom. For the raw formation energy, the calculation gives -15.95 kcal/mol of atoms.

The space group is R-3m (No. 166, hexagonal axes) and the conventional cell measures 3.0156, 3.0156 and 24.1767 Å, with angles of 90.00, 90.00 and 120.00 degrees. The inequivalent atoms are In at (0.0000, 0.0000, 0.0000), Ru at (0.0000, 0.0000, 0.5000) and F at (0.0000, 0.0000, 0.0964).

The following is a PBE calculation of TbH4Os after structural relaxation, from Alexandria.

The calculation puts the total energy at -5.17 eV/atom.

The space group is Cmcm (No. 63) and the conventional cell measures 4.292, 6.227 and 8.389 Å, with angles of 90.00, 90.00 and 90.00 degrees. The inequivalent atoms are Tb at (0.000, 0.000, 0.000), H at (0.000, 0.355, 0.047), H at (0.247, 0.102, 0.250) and Os at (0.000, 0.351, 0.250).

The following is a PBE calculation of VRh after structural relaxation, from Alexandria.

Its formation energy is 0.721 eV per atom.

The space group is F-43m (No. 216) and the conventional cell measures 5.423, 5.423 and 5.423 Å, with angles of 90.00, 90.00 and 90.00 degrees. The inequivalent atoms are V at (0.000, 0.000, 0.000) and Rh at (0.250, 0.250, 0.750).

The following is a PBE calculation of Pm3Au11 after structural relaxation, from Alexandria.

Its formation energy is -0.527 eV per atom.
So much for the records of crystals.
Dhanish Dhamani, second from left, with his Orai team.